On May 7th, 1904 (according to the new calender) the repressive action of the Russian empire – the forty years of the ban of the Lithuanian press in Latin scripts – was abolished.
Alter the restoration of the Lithuanian press new favourable conditions and circumstances came into being, and in all spheres of the Lithuanian social life new “accelerated” processes were going on.
One of the important facts and results during the years 1904–1918 of the Lithuanian cultural development was the existence of a network of legal book-shops of the Lithuanian press.
In the article various moments and aspects of the activities of the Lithuanian book-shops are analysed and the development of a network of these shops and other stationary establishments of the book trade are described.
**What comes next are data records, not part of the page**
~~~
[1]
A 3-piece molecular cluster, C4H10N2O2 overall, computed with wB97M-V/def2-TZVPD.

Summary:
Energy above the lowest of the compared OMol25 structures with the same formula, charge and spin ... 149.1 kJ/mol
SMILES string ... Cc1c[nH]cn1.O.O
Orbital gap ... 8.98 eV
E_tot ... -11385.357 eV

Cartesian coordinates (Å):
C1 1.48073 -2.03250 0.91974
C2 0.70907 -0.95507 0.23659
C3 1.19888 0.25419 -0.18475
N1 0.12984 0.93883 -0.69530
C4 -0.95846 0.14742 -0.52770
N2 -0.63600 -1.00104 0.01661
H1 2.14357 -1.63004 1.69897
H2 0.83034 -2.74957 1.41716
H3 2.07639 -2.62586 0.23160
H4 2.24782 0.40281 -0.39806
H5 0.11693 1.72997 -1.31560
H6 -1.92591 0.42562 -0.88602
H7 -1.38494 1.29953 -3.66167
H8 -2.54106 1.82136 -2.82359
O1 -1.57837 1.90112 -2.93239
H9 -0.27058 0.89448 2.30315
H10 -1.22145 0.32709 3.34467
O2 -0.41681 0.85167 3.25658

---

[2]
C4H10N2O2 as an isolated structure, computed with wB97M-V/def2-TZVPD.

Summary:
Energy above the lowest of the compared OMol25 structures with the same formula, charge and spin ... 1300.0 kJ/mol
Orbital gap ... 3.83 eV
E_tot ... -11373.429 eV

Cartesian coordinates (Å):
N1 1.45137 0.40089 1.65389
C1 0.27393 0.62744 0.94448
C2 -0.51637 -0.56014 0.48194
O1 0.64908 -1.86334 2.50934
C3 0.22284 0.27223 -0.55716
N2 -0.77023 1.35642 -1.09576
C4 -1.30799 0.91070 -2.32552
O2 1.31436 -0.24472 -1.15394
H1 1.30909 -0.41949 2.31298
H2 2.14483 0.03696 0.99301
H3 -0.22387 1.58428 1.08856
H4 -0.21407 -1.58022 0.73280
H5 -1.59573 -0.32538 0.55430
H6 0.87508 -2.43776 3.24927
H7 0.27741 -0.50052 -1.61466
H8 -1.96381 1.59637 -2.85815
H9 -0.19180 1.25887 -2.46608
H10 -1.73411 -0.11259 -2.44931

~~~~~

The following is a quantum chemistry calculation of C16H13NO3S2 in the gas phase in a non-equilibrium geometry, from the Open Molecules 2025 dataset.

Geometry as XYZ:
```
35
Properties=species:S:1:pos:R:3:forces:R:3:nbo_charge:R:1
O 0.449 0.946 1.179 3.8667 2.4764 -4.1929 -0.63
C 1.333 1.603 0.467 -6.7766 -0.9153 2.7768 0.80
C 2.332 2.389 1.184 3.3772 -4.0262 -8.8293 -0.45
C 3.383 1.293 1.357 -1.2531 6.9524 13.1517 -0.52
C 3.666 0.601 0.355 7.2694 -5.5449 -14.4020 0.49
O 4.600 1.021 -0.542 -4.6338 -2.1536 4.1403 -0.56
C 2.962 -0.666 0.141 5.1533 3.1397 -11.6960 -0.47
C 2.925 -1.201 -1.483 -8.1790 -6.2593 15.4448 -0.14
C 2.167 -2.467 -1.203 -0.2955 1.0435 0.3395 -0.25
C 1.568 -2.872 0.048 3.4409 5.7925 -0.3499 -0.37
S 2.105 -1.352 1.144 -5.6296 -7.2386 4.2475 0.64
O 1.311 1.862 -0.883 -2.4877 -3.0716 1.4343 -0.49
C 0.317 0.945 -1.665 0.0948 2.2403 -1.8218 -0.14
C -1.019 0.482 -1.151 -2.8798 2.2124 3.0411 0.11
N -1.533 -0.620 -0.802 1.3521 -2.3594 0.0179 -0.40
C -2.811 -0.687 -0.125 8.3223 14.0935 -4.9821 0.10
C -3.478 -1.681 -0.110 -5.7208 -13.7950 2.6578 -0.18
C -4.757 -1.532 0.487 -0.7895 -4.0053 1.2259 -0.25
C -5.191 -0.341 0.843 -2.0399 6.0805 0.0935 -0.19
C -4.578 1.052 0.577 4.2927 -10.6890 -3.1558 -0.20
C -3.371 0.810 -0.116 -0.9120 -3.3894 2.9820 -0.24
S -2.120 1.766 -0.608 0.8853 3.2645 -1.0981 0.36
~~~
**The data records stop here**
The information collected tells us that during the years 1904–1918 there existed about 90 Lithuanian book-shops. They worked simultaneously with book-shops belonging to the representatives of othor nations, partly also engaged in selling Lithuanian books; facts of cooperation between them are described.
In the article are also analysed the cultural and commercial activities of the Lithuanian book-shops.
Many of them acted not only as commercial institutions but perhaps more as institutions of enlightment and culture. The education of the people they regarded as their main task.
The Lithuanian book-shops earned their existence with many difficulties. Their owners were mostly inexperienced in commercial matters and sometimes not able to withstand competition. To help themselves the book-shops traded other goods, mostly devotionals.
In a separate section of this article the questions of assortment of literature are analysed (quantity, topics, genres etc.)
Faetors which have stimulated and defermined the structure of the assortment are pointed out (publishing, censorship, political confrontation within the society etc.).
The article acquaints you with the founders and owners of the described bookshops. Many of them have been Lithuanian cultural activists, formal illegal book distributors, writers. Only some of them were businessmen.
As appendix statistical tables about the book-shops and their proprietors are added, about book-shops which were planned, but not established, as well.
The history of the book-shops of the Lithuanian press which have been important factors in the development of the national culture has never been seriously studied and described. This article is the first attempt of such an extent and character to solve this problem.